**Excerpt**
/*
Entry 1:
{
  "formula": "CsSb2F7",
  "functional": "PBE",
  "state": "optimized geometry",
  "cell": [[10.482, -3.297, 0.000], [10.482, 3.297, 0.000], [-0.436, 0.000, 6.308]],
  "species": ["Cs", "Cs", "Sb", "Sb", "Sb", "Sb", "F", "F", "F", "F", "F", "F", "F", "F", "F", "F", "F", "F", "F", "F"],
  "fractional_positions": [[0.232, 0.768, 0.750], [0.768, 0.232, 0.250], [0.087, 0.592, 0.212], [0.408, 0.913, 0.288], [0.592, 0.087, 0.712], [0.913, 0.408, 0.788], [0.000, 0.500, 0.000], [0.135, 0.172, 0.433], [0.140, 0.728, 0.293], [0.172, 0.135, 0.933], [0.270, 0.476, 0.970], [0.272, 0.860, 0.207], [0.476, 0.270, 0.470], [0.500, 0.000, 0.500], [0.524, 0.730, 0.530], [0.728, 0.140, 0.793], [0.730, 0.524, 0.030], [0.828, 0.865, 0.067], [0.860, 0.272, 0.707], [0.865, 0.828, 0.567]],
  "relative_energy_ev_per_atom": 0.0123,
  "formation_enthalpy_0k_kj_per_mol_fu": -2697.0,
  "total_energy_ha_per_atom": -0.174
}

Entry 2:
{
  "formula": "La11In9Ni4",
  "functional": "PBE",
  "state": "optimized geometry",
  "cell": [[7.560, -11.314, 0.000], [7.560, 11.314, 0.000], [0.000, 0.000, 3.860]],
  "species": ["La", "La", "La", "La", "La", "La", "La", "La", "La", "La", "La", "In", "In", "In", "In", "In", "In", "In", "In", "In", "Ni", "Ni", "Ni", "Ni"],
  "fractional_positions": [[0.000, 0.000, 0.000], [0.079, 0.418, 0.000], [0.162, 0.838, 0.000], [0.313, 0.313, 0.000], [0.376, 0.624, 0.000], [0.418, 0.079, 0.000], [0.582, 0.921, 0.000], [0.624, 0.376, 0.000], [0.687, 0.687, 0.000], [0.838, 0.162, 0.000], [0.921, 0.582, 0.000], [0.081, 0.222, 0.500], [0.165, 0.633, 0.500], [0.222, 0.081, 0.500], [0.367, 0.835, 0.500], [0.500, 0.500, 0.500], [0.633, 0.165, 0.500], [0.778, 0.919, 0.500], [0.835, 0.367, 0.500], [0.919, 0.778, 0.500], [0.242, 0.447, 0.500], [0.447, 0.242, 0.500], [0.553, 0.758, 0.500], [0.758, 0.553, 0.500]],
  "formation_enthalpy_0k_kj_per_mol_fu": -1157.4,
  "total_energy_ha_per_atom": -0.175
}

Entry 3:
{
  "formula": "Zn2CuIr",
  "functional": "PBE",
  "state": "optimized geometry",
  "cell": [[0.000, 3.010, 3.010], [3.010, 0.000, 3.010], [3.010, 3.010, 0.000]],
  "species": ["Zn", "Zn", "Cu", "Ir"],
  "fractional_positions": [[0.250, 0.250, 0.250], [0.750, 0.750, 0.750], [0.000, 0.000, 0.000], [0.500, 0.500, 0.500]],
  "formation_enthalpy_0k_kj_per_mol_fu": -63.2,
  "total_energy_ha_per_atom": -0.148
}

Entry 4:
{
  "formula": "AgAsS2",
  "functional": "PBE",
  "state": "optimized geometry",
  "cell": [[6.990, 4.036, 3.263], [-6.990, 4.036, 3.263], [0.000, -8.072, 3.263]],
  "species": ["Ag", "Ag", "Ag", "Ag", "Ag", "Ag", "As", "As", "As", "As", "As", "As", "S", "S", "S", "S", "S", "S", "S", "S", "S", "S", "S", "S"],
  "fractional_positions": [[0.097, 0.678, 0.270], [0.270, 0.097, 0.678], [0.322, 0.730, 0.903], [0.678, 0.270, 0.097], [0.730, 0.903, 0.322], [0.903, 0.322, 0.730], [0.129, 0.341, 0.417], [0.341, 0.417, 0.129], [0.417, 0.129, 0.341], [0.583, 0.871, 0.659], [0.659, 0.583, 0.871], [0.871, 0.659, 0.583], [0.065, 0.348, 0.142], [0.142, 0.065, 0.348], [0.152, 0.758, 0.615], [0.242, 0.385, 0.848], [0.348, 0.142, 0.065], [0.385, 0.848, 0.242], [0.615, 0.152, 0.758], [0.652, 0.858, 0.935], [0.758, 0.615, 0.152], [0.848, 0.242, 0.385], [0.858, 0.935, 0.652], [0.935, 0.652, 0.858]],
  "formation_enthalpy_0k_kj_per_mol_fu": -139.6,
  "total_energy_ha_per_atom": -0.149
}

Entry 5:
{
  "formula": "CaNbO2",
  "functional": "PBE",
  "state": "optimized geometry",
  "cell": [[-3.093, 3.093, 5.816], [3.093, -3.093, 5.816], [3.093, 3.093, -5.816]],
  "species": ["Ca", "Ca", "Ca", "Ca", "Nb", "Nb", "Nb", "Nb", "O", "O", "O", "O", "O", "O", "O", "O"],
*/
**Work order**
Could you give back all of the entries further up without altering anything?
**Reply**
Entry 1:
{
  "formula": "CsSb2F7",
  "functional": "PBE",
  "state": "optimized geometry",
  "cell": [[10.482, -3.297, 0.000], [10.482, 3.297, 0.000], [-0.436, 0.000, 6.308]],
  "species": ["Cs", "Cs", "Sb", "Sb", "Sb", "Sb", "F", "F", "F", "F", "F", "F", "F", "F", "F", "F", "F", "F", "F", "F"],
  "fractional_positions": [[0.232, 0.768, 0.750], [0.768, 0.232, 0.250], [0.087, 0.592, 0.212], [0.408, 0.913, 0.288], [0.592, 0.087, 0.712], [0.913, 0.408, 0.788], [0.000, 0.500, 0.000], [0.135, 0.172, 0.433], [0.140, 0.728, 0.293], [0.172, 0.135, 0.933], [0.270, 0.476, 0.970], [0.272, 0.860, 0.207], [0.476, 0.270, 0.470], [0.500, 0.000, 0.500], [0.524, 0.730, 0.530], [0.728, 0.140, 0.793], [0.730, 0.524, 0.030], [0.828, 0.865, 0.067], [0.860, 0.272, 0.707], [0.865, 0.828, 0.567]],
  "relative_energy_ev_per_atom": 0.0123,
  "formation_enthalpy_0k_kj_per_mol_fu": -2697.0,
  "total_energy_ha_per_atom": -0.174
}

Entry 2:
{
  "formula": "La11In9Ni4",
  "functional": "PBE",
  "state": "optimized geometry",
  "cell": [[7.560, -11.314, 0.000], [7.560, 11.314, 0.000], [0.000, 0.000, 3.860]],
  "species": ["La", "La", "La", "La", "La", "La", "La", "La", "La", "La", "La", "In", "In", "In", "In", "In", "In", "In", "In", "In", "Ni", "Ni", "Ni", "Ni"],
  "fractional_positions": [[0.000, 0.000, 0.000], [0.079, 0.418, 0.000], [0.162, 0.838, 0.000], [0.313, 0.313, 0.000], [0.376, 0.624, 0.000], [0.418, 0.079, 0.000], [0.582, 0.921, 0.000], [0.624, 0.376, 0.000], [0.687, 0.687, 0.000], [0.838, 0.162, 0.000], [0.921, 0.582, 0.000], [0.081, 0.222, 0.500], [0.165, 0.633, 0.500], [0.222, 0.081, 0.500], [0.367, 0.835, 0.500], [0.500, 0.500, 0.500], [0.633, 0.165, 0.500], [0.778, 0.919, 0.500], [0.835, 0.367, 0.500], [0.919, 0.778, 0.500], [0.242, 0.447, 0.500], [0.447, 0.242, 0.500], [0.553, 0.758, 0.500], [0.758, 0.553, 0.500]],
  "formation_enthalpy_0k_kj_per_mol_fu": -1157.4,
  "total_energy_ha_per_atom": -0.175
}

Entry 3:
{
  "formula": "Zn2CuIr",
  "functional": "PBE",
  "state": "optimized geometry",
  "cell": [[0.000, 3.010, 3.010], [3.010, 0.000, 3.010], [3.010, 3.010, 0.000]],
  "species": ["Zn", "Zn", "Cu", "Ir"],
  "fractional_positions": [[0.250, 0.250, 0.250], [0.750, 0.750, 0.750], [0.000, 0.000, 0.000], [0.500, 0.500, 0.500]],
  "formation_enthalpy_0k_kj_per_mol_fu": -63.2,
  "total_energy_ha_per_atom": -0.148
}

Entry 4:
{
  "formula": "AgAsS2",
  "functional": "PBE",
  "state": "optimized geometry",
  "cell": [[6.990, 4.036, 3.263], [-6.990, 4.036, 3.263], [0.000, -8.072, 3.263]],
  "species": ["Ag", "Ag", "Ag", "Ag", "Ag", "Ag", "As", "As", "As", "As", "As", "As", "S", "S", "S", "S", "S", "S", "S", "S", "S", "S", "S", "S"],
  "fractional_positions": [[0.097, 0.678, 0.270], [0.270, 0.097, 0.678], [0.322, 0.730, 0.903], [0.678, 0.270, 0.097], [0.730, 0.903, 0.322], [0.903, 0.322, 0.730], [0.129, 0.341, 0.417], [0.341, 0.417, 0.129], [0.417, 0.129, 0.341], [0.583, 0.871, 0.659], [0.659, 0.583, 0.871], [0.871, 0.659, 0.583], [0.065, 0.348, 0.142], [0.142, 0.065, 0.348], [0.152, 0.758, 0.615], [0.242, 0.385, 0.848], [0.348, 0.142, 0.065], [0.385, 0.848, 0.242], [0.615, 0.152, 0.758], [0.652, 0.858, 0.935], [0.758, 0.615, 0.152], [0.848, 0.242, 0.385], [0.858, 0.935, 0.652], [0.935, 0.652, 0.858]],
  "formation_enthalpy_0k_kj_per_mol_fu": -139.6,
  "total_energy_ha_per_atom": -0.149
}

Entry 5:
{
  "formula": "CaNbO2",
  "functional": "PBE",
  "state": "optimized geometry",
  "cell": [[-3.093, 3.093, 5.816], [3.093, -3.093, 5.816], [3.093, 3.093, -5.816]],
  "species": ["Ca", "Ca", "Ca", "Ca", "Nb", "Nb", "Nb", "Nb", "O", "O", "O", "O", "O", "O", "O", "O"],